

CCE实习生队2023正如我们公司的名字所暗示的那样, we are a collaboration of people and efforts that support community engagement on and off campus. We see our intern team as a cooperative or "co-op" of students who work toward a common purpose or benefit through a jointly-owned and democratically managed enterprise. 在商业世界里, a cooperative is a way for people to meet their own needs through a company that is owned and operated by the people who use its products and services. The CCE's student intern team is the structure through which students can guide, 直接, and take joint ownership of the work of the CCE. Our goal is to equitably share voice, 权力, 决策, and meaning-making of our office with students.




Student Director of the 邦纳奖学金


主要: 女权主义 & 性别研究

生物: 嗨嗨! My name is Mackenzie, I also go by Mack, and I am the Student Director of the 邦纳奖学金! 我来自丹佛, 狱警,我今年大三, majoring 女权主义 and 性别研究 and minoring in Education. I enjoy making art, cooking, Rummikub, and golfing. 在我在CCE的职责范围内, I am a resource for current and prospective Bonner fellows and put together much of the Bonner programming. By participating in community engagement with the CCE, I found community on and off campus, 我希望你也一样. If you’re interested in how to get involved with the 邦纳奖学金 或者是CCE, 请发邮件给我! 



Student Director of Student Engagement


生物: 大家好! I'm Mila from Macedonia, born and raised in the capital, Skopje. I am the Student Director of Engagement, and I am a sophomore this year, majoring in 政治科学 and 历史, 辅修西班牙语. 在我在CCE的职责范围内, I serve as a resource for all CES and help Sarah oversee and run the program. My passion for community engagement came to light during my last two years of high school that I spent in India, where I had a chance to work with the local community, 无论是校内还是校外. If you have any questions regarding the CES program, community engagement opportunities, 或者是CCE, do not hesitate to reach out to me!





McCune_Brendan2023Student Director of 突破

/*
Record 1
Below is a geometry-optimized AgGeO3 structure, with properties calculated at the PBE level.

Summary:
Its space-group type is No. 26. The value obtained for the final energy is -5.3851 eV/atom. For the total moment, the calculation gives 0.0 Bohr magnetons per cell. As for the formation energy: -1.337 eV/atom.

abc: 3.1704 5.1585 9.3087
angles: 90.00 90.00 90.00
Closest atoms and distances in Å follow each position.
Element x y z (fractional)
Ge: 0.0000 0.9092 0.7522  4 O 1.77-1.83
O: 0.0000 0.2781 0.4114  1 Ge 1.77
Ag: 0.5000 0.5034 0.0017  4 O 2.12-2.13
O: 0.5000 0.0870 0.7478  2 Ge 1.83
O: 0.0000 0.2861 0.0946  1 Ge 1.78
Ge: 0.0000 0.0908 0.2522  4 O 1.77-1.83
Ag: 0.5000 0.4966 0.5017  4 O 2.12-2.13
O: 0.0000 0.7139 0.5946  1 Ge 1.78
O: 0.0000 0.7219 0.9114  1 Ge 1.77
O: 0.5000 0.9130 0.2478  2 Ge 1.83

Record 2
Below is a geometry-optimized IrF6 structure, with properties calculated at the PBE level.

Summary:
Its space-group type is No. 62. The value obtained for the final energy is -4.3323 eV/atom. As for the formation energy: -1.825 eV/atom.

abc: 5.1344 8.8565 9.7495
angles: 90.00 90.00 90.00
Closest atoms and distances in Å follow each position.
Element x y z (fractional)
F: 0.2497 0.6002 0.5183  1 Ir 1.88
F: 0.6975 0.7500 0.0111  1 Ir 1.88
F: 0.9390 0.8996 0.7358  1 Ir 1.88
Ir: 0.5941 0.2500 0.8731  6 F 1.88
F: 0.5610 0.6004 0.2358  1 Ir 1.88
F: 0.3866 0.7500 0.7423  1 Ir 1.88
F: 0.8866 0.2500 0.7577  1 Ir 1.88
F: 0.9390 0.6004 0.7358  1 Ir 1.88
F: 0.5610 0.8996 0.2358  1 Ir 1.88
F: 0.6134 0.2500 0.2577  1 Ir 1.88
Ir: 0.0941 0.7500 0.6269  6 F 1.88
F: 0.1975 0.2500 0.4889  1 Ir 1.88
F: 0.4390 0.3996 0.7642  1 Ir 1.88
Ir: 0.4059 0.7500 0.1269  6 F 1.88
F: 0.2503 0.8998 0.0183  1 Ir 1.88
F: 0.2497 0.8998 0.5183  1 Ir 1.88
Ir: 0.9059 0.2500 0.3731  6 F 1.88
F: 0.4390 0.1004 0.7642  1 Ir 1.88
F: 0.1134 0.7500 0.2423  1 Ir 1.88
F: 0.3025 0.2500 0.9889  1 Ir 1.88
F: 0.7503 0.1002 0.4817  1 Ir 1.88
F: 0.0610 0.1004 0.2642  1 Ir 1.88
F: 0.8025 0.7500 0.5111  1 Ir 1.88
F: 0.0610 0.3996 0.2642  1 Ir 1.88
F: 0.7497 0.3998 0.9817  1 Ir 1.88
F: 0.7503 0.3998 0.4817  1 Ir 1.88
F: 0.2503 0.6002 0.0183  1 Ir 1.88
F: 0.7497 0.1002 0.9817  1 Ir 1.88

Record 3
Below is a geometry-optimized Sn2OF5 structure, with properties calculated at the PBE level.

Summary:
Its space-group type is No. 12. The value obtained for the final energy is -5.0779 eV/atom. As for the formation energy: -2.635 eV/atom.

abc: 5.7803 5.7803 8.4825
angles: 68.67 68.67 71.88
Closest atoms and distances in Å follow each position.
Element x y z (fractional)
F: 0.7234 0.7234 0.4983  2 Sn 2.09-2.14
Sn: 0.9741 0.9741 0.3230  4 F 1.98-2.14, 2 O 2.09
F: 0.2038 0.2038 0.1472  1 Sn 1.99
Sn: 0.0259 0.0259 0.6770  4 F 1.98-2.14, 2 O 2.09
F: 0.6023 0.6023 0.2395  1 Sn 1.97
F: 0.1269 0.7089 0.1970  1 Sn 1.98
F: 0.7962 0.7962 0.8528  1 Sn 1.99
F: 0.8731 0.2911 0.8030  1 Sn 1.98
F: 0.2766 0.2766 0.5017  2 Sn 2.09-2.14
F: 0.7089 0.1269 0.1970  1 Sn 1.98
*/


生物: 我是格里利的大三学生, CO and I am a collector of rare trinkets, 高科技设备, and things of the knick-knack variety. I think 突破 is the bee’s knees because it lets me get to know the Colorado Springs community and the CC community at the same time, which is a pretty stupendous deal.  Also, I think 突破 is right up your alley, anonymous internet user, so come check it out! 


Student Director of Communications



- - -
Record 1
# LaH3O3 (PBE-GGA, relaxed)
data_LaH3O3
_chemical_formula_sum 'La8 H24 O24'
_symmetry_space_group_name_H-M 'P 1'
_symmetry_Int_Tables_number 1
_symmetry_space_group_name_Hall 'P 1'
_cell_length_a 10.8660
_cell_length_b 6.7743
_cell_length_c 15.3522
_cell_angle_alpha 90.00
_cell_angle_beta 131.28
_cell_angle_gamma 90.00
loop_
_atom_site_label
_atom_site_fract_x
_atom_site_fract_y
_atom_site_fract_z
La1 0.1651 0.0284 0.1665
La2 0.1651 0.4716 0.6665
La3 0.3312 0.5344 0.3323
La4 0.3312 0.9656 0.8323
La5 0.6688 0.0344 0.1677
La6 0.6688 0.4656 0.6677
La7 0.8349 0.5284 0.3335
La8 0.8349 0.9716 0.8335
H1 0.0071 0.2222 0.3008
H2 0.0071 0.2778 0.8008
H3 0.2012 0.6388 0.5015
H4 0.2012 0.8612 0.0015
H5 0.2018 0.0753 0.5955
H6 0.2018 0.4247 0.0955
H7 0.2687 0.1524 0.3990
H8 0.2687 0.3476 0.8990
H9 0.4199 0.7132 0.0324
H10 0.4199 0.7868 0.5324
H11 0.4837 0.1495 0.6811
H12 0.4837 0.3505 0.1811
H13 0.5163 0.6495 0.8189
H14 0.5163 0.8505 0.3189
H15 0.5801 0.2132 0.4676
H16 0.5801 0.2868 0.9676
H17 0.7313 0.6524 0.1010
H18 0.7313 0.8476 0.6010
H19 0.7982 0.5753 0.9045
H20 0.7982 0.9247 0.4045
H21 0.7988 0.1388 0.9985
H22 0.7988 0.3612 0.4985
H23 0.9929 0.7222 0.1992
H24 0.9929 0.7778 0.6992
O1 0.0928 0.7301 0.2101
O2 0.0928 0.7699 0.7101
O3 0.1106 0.6175 0.5000
O4 0.1106 0.8825 0.0000
O5 0.2087 0.2182 0.3244
O6 0.2087 0.2818 0.8244
O7 0.2742 0.1461 0.6691
O8 0.2742 0.3539 0.1691
O9 0.4090 0.6455 0.5164
O10 0.4090 0.8545 0.0164
O11 0.4202 0.6547 0.8124
O12 0.4202 0.8453 0.3124
O13 0.5798 0.1547 0.6876
O14 0.5798 0.3453 0.1876
O15 0.5910 0.1455 0.9836
O16 0.5910 0.3545 0.4836
O17 0.7258 0.6461 0.8309
O18 0.7258 0.8539 0.3309
O19 0.7913 0.7182 0.1756
O20 0.7913 0.7818 0.6756
O21 0.8894 0.1175 0.0000
O22 0.8894 0.3825 0.5000
O23 0.9072 0.2301 0.2899
O24 0.9072 0.2699 0.7899
# VASP energy	-0.4526	Ry/atom
# polymorph energy (0 for the lowest one)	64	meV/atom
# symmetry	P2_1/c, No. 14

Record 2
# LaH3O3 (PBE-GGA, relaxed)
data_LaH3O3
_chemical_formula_sum 'La2 H6 O6'
_symmetry_space_group_name_H-M 'P 1'
_symmetry_Int_Tables_number 1
_symmetry_space_group_name_Hall 'P 1'
_cell_length_a 6.5260
_cell_length_b 6.5260
_cell_length_c 3.8733
_cell_angle_alpha 90.00
_cell_angle_beta 90.00
_cell_angle_gamma 120.00
loop_
_atom_site_label
_atom_site_fract_x
_atom_site_fract_y
_atom_site_fract_z
La1 0.3333 0.6667 0.0000
La2 0.6667 0.3333 0.5000
H1 0.1275 0.2752 0.5622
H2 0.1477 0.8725 0.5622
H3 0.2752 0.1477 0.0622
H4 0.7248 0.8523 0.5622
H5 0.8523 0.1275 0.0622
H6 0.8725 0.7248 0.0622
O1 0.0779 0.3851 0.4778
O2 0.3072 0.9221 0.4778
O3 0.3851 0.3072 0.9778
O4 0.6149 0.6928 0.4778
O5 0.6928 0.0779 0.9778
O6 0.9221 0.6149 0.9778
# VASP energy	-0.4574	Ry/atom
# polymorph energy (0 for the lowest one)	0	meV/atom
# symmetry	P6_3, No. 173

Record 3
# LaHO2 (PBE-GGA, relaxed)
data_LaHO2
_chemical_formula_sum 'La2 H2 O4'
_symmetry_space_group_name_H-M 'P 1'
_symmetry_Int_Tables_number 1
_symmetry_space_group_name_Hall 'P 1'
_cell_length_a 4.4942
_cell_length_b 3.9402
- - -

生物: 即将到来的!


Kalikow_Yonah2023Student Director of Communications

Yonah Kalikow 

主要: 犹豫不决

生物: Hi! I am a sophomore at CC from outside of Boston. I am interested in both Organismal Biology and Ecology and Southwest Studies, so I am using my time without a major to continue to explore all CC offers! My interest in community engagement began towards the end of high school and into my gap year when I worked on a small farm that focused on combating food insecurity. I had many opportunities to engage with community organizations and began to see how crucial organizations are to supporting communities. I am excited to continue pursuing this work through the CCE at CC! In my free time I enjoy cooking dinner, fiber arts, and experiencing the outdoors! 


Hoskinson_Jaxon2023Student Director of Communications

Jaxon Hoskinson 

Records of crystals, kept here for reference =
=====
A relaxed LiCo3O6 crystal, computed with GGA+U.

Properties
Formation energy in eV/f.u.: -13.47

Structure (CIF):
```
data_LiCo3O6
_space_group_name_H-M_alt 'C 1 2 1'
_space_group_IT_number 5
_cell_length_a 4.955
_cell_length_b 8.440
_cell_length_c 10.117
_cell_angle_alpha 90.00
_cell_angle_beta 98.79
_cell_angle_gamma 90.00
loop_
_space_group_symop_operation_xyz
'x,y,z'
'-x,y,-z'
'x+1/2,y+1/2,z'
'-x+1/2,y+1/2,-z'
loop_
_atom_site_label
_atom_site_fract_x
_atom_site_fract_y
_atom_site_fract_z
_atom_site_occupancy
Li1 0.248 0.000 0.251 1
Co1 0.000 0.000 0.500 1
Co2 0.000 0.165 0.000 1
Co3 0.000 0.332 0.500 1
Co4 0.000 0.499 0.000 1
Co5 0.000 0.667 0.500 1
Co6 0.000 0.834 0.000 1
O1 0.102 0.999 0.896 1
O2 0.132 0.498 0.403 1
O3 0.138 0.163 0.403 1
O4 0.142 0.334 0.903 1
O5 0.142 0.665 0.903 1
O6 0.142 0.837 0.403 1
```

A relaxed Ho2MgV2O7 crystal, computed with GGA+U.

Properties
Formation energy in eV/f.u.: -37.06

Structure (CIF):
```
data_Ho2MgV2O7
_space_group_name_H-M_alt 'C 1 m 1'
_space_group_IT_number 8
_cell_length_a 6.658
_cell_length_b 9.703
_cell_length_c 5.518
_cell_angle_alpha 90.00
_cell_angle_beta 97.54
_cell_angle_gamma 90.00
loop_
_space_group_symop_operation_xyz
'x,y,z'
'x,-y,z'
'x+1/2,y+1/2,z'
'x+1/2,-y+1/2,z'
loop_
_atom_site_label
_atom_site_fract_x
_atom_site_fract_y
_atom_site_fract_z
_atom_site_occupancy
Ho1 0.000 0.180 0.000 1
Mg1 0.450 0.000 0.091 1
V1 0.248 0.000 0.597 1
V2 0.280 0.500 0.403 1
O1 0.073 0.000 0.270 1
O2 0.204 0.351 0.168 1
O3 0.306 0.143 0.862 1
O4 0.444 0.500 0.725 1
O5 0.488 0.000 0.458 1
```

A relaxed Na2Cr7O14 crystal, computed with GGA+U.

Properties
Formation energy in eV/f.u.: -47.28

Structure (CIF):
```
data_Na2Cr7O14
_space_group_name_H-M_alt 'R -3 m'
_space_group_IT_number 166
_space_group_name_Hall '-R 3 2"'
_cell_length_a 5.7552
_cell_length_b 5.7552
_cell_length_c 28.1311
_cell_angle_alpha 90.00
_cell_angle_beta 90.00
_cell_angle_gamma 120.00
loop_
_atom_site_label
_atom_site_fract_x
_atom_site_fract_y
_atom_site_fract_z
_atom_site_occupancy
Na1 0.0000 0.0000 0.1983 1
Cr1 0.0000 0.0000 0.0761 1
Cr2 0.0000 0.0000 0.4396 1
Cr3 0.0000 0.5000 0.0000 1
O1 0.0000 0.0000 0.3715 1
O2 0.0138 0.5069 0.3698 1
O3 0.0140 0.5070 0.7851 1
```

A relaxed KCrO3F crystal, computed with GGA+U.

Properties
Formation energy in eV/f.u.: -12.54

Structure (CIF):
```
data_KCrO3F
_space_group_name_H-M_alt 'P 1'
_space_group_IT_number 1
_cell_length_a 5.633
_cell_length_b 5.635
_cell_length_c 7.707
_cell_angle_alpha 110.38
_cell_angle_beta 110.94
_cell_angle_gamma 90.02
loop_
_space_group_symop_operation_xyz
'x,y,z'
loop_
_atom_site_label
_atom_site_fract_x
_atom_site_fract_y
_atom_site_fract_z
_atom_site_occupancy
K1 0.000 0.000 0.000 1
K2 0.247 0.752 0.500 1
Cr1 0.487 0.495 0.996 1
Cr2 0.746 0.240 0.496 1
O1 0.334 0.479 0.136 1
O2 0.335 0.649 0.855 1
O3 0.456 0.091 0.359 1
O4 0.507 0.209 0.858 1
O5 0.896 0.259 0.354 1
O6 0.900 0.087 0.635 1
F1 0.727 0.560 0.646 1
F2 0.808 0.663 0.145 1
```
=====
The records of crystals stop here =

主要: 政治科学 & 哲学

生物: Hi! Jaxon is/ I am a Senior 政治科学 and 哲学 double major who is starting my 3rd 在CCE的一年. 在那个时候, I loved getting to know people and spreading the word about LGBTQIA2+ events and spaces, and I can't wait to do that for all of the awesome opportunities the CCE has to offer. 就我个人而言, the CCE has helped me grow my love for creating community and collaboration with local non profits. I even spent last summer interning at an organization I met through the CCE! I can't wait to help others grow in the same way I have been able to, so don't hesitate to reach out with questions! 


报告问题 - 最后更新: 03/08/2024